
wednesday, january 24th, 2024
1:09 pm

i spent all of yesterday studying one chapter of one textbook. 0 is the only number that can equal its negative self. i'm the person i've always been, neither good nor bad. i'm negative, i'm positive. my past and my future.

_What comes next are crystal structures, not part of the text_
=====
(1)
Here is a geometry-optimized Sm5AgPt2 structure from Alexandria via LeMat-Bulk. Energies are from GGA-PBE.

Results
space-group type	I4/mcm, No. 140
DFT formation energy	-0.693	eV per atom
calculated volume	430.7	Å³/cell
magnetization	0.00	μB/f.u.
raw total energy	-5.51	eV per atom

Unit cell a=8.7779 b=8.7779 c=8.7779 alpha=125.66 beta=125.66 gamma=80.44
Fractional positions:
Sm (0.0000, 0.0000, 0.0000)
Sm (0.0234, 0.5234, 0.8233)
Sm (0.2001, 0.0234, 0.5000)
Sm (0.2999, 0.7999, 0.8233)
Sm (0.4766, 0.2999, 0.5000)
Sm (0.5000, 0.5000, 0.0000)
Sm (0.5234, 0.7001, 0.5000)
Sm (0.7001, 0.2001, 0.1767)
Sm (0.7999, 0.9766, 0.5000)
Sm (0.9766, 0.4766, 0.1767)
Ag (0.2500, 0.2500, 0.0000)
Ag (0.7500, 0.7500, 0.0000)
Pt (0.1338, 0.3662, 0.5000)
Pt (0.3662, 0.8662, 0.2324)
Pt (0.6338, 0.1338, 0.7676)
Pt (0.8662, 0.6338, 0.5000)

(2)
Here is a geometry-optimized Sm2Ag3Pt2 structure from Alexandria via LeMat-Bulk. Energies are from GGA-PBE.

Results
space-group type	C2/m, No. 12
DFT formation energy	-0.629	eV per atom
calculated volume	150.6	Å³/cell
magnetization	0.00	μB/f.u.
raw total energy	-4.92	eV per atom

Unit cell a=5.4752 b=5.4752 c=7.1795 alpha=95.60 beta=95.60 gamma=44.71
Fractional positions:
Sm (0.1186, 0.1186, 0.3381)
Sm (0.8814, 0.8814, 0.6619)
Ag (0.1926, 0.1926, 0.8857)
Ag (0.5000, 0.5000, 0.0000)
Ag (0.8074, 0.8074, 0.1143)
Pt (0.4044, 0.4044, 0.3542)
Pt (0.5956, 0.5956, 0.6458)

(3)
Here is a geometry-optimized Sm12Ag6Pt structure from Alexandria via LeMat-Bulk. Energies are from GGA-PBE.

Results
space-group type	R-3, No. 148
DFT formation energy	-0.156	eV per atom
calculated volume	550.7	Å³/cell
magnetization	0.00	μB/f.u.
raw total energy	-4.35	eV per atom

Unit cell a=8.2026 b=8.2026 c=8.2026 alpha=92.16 beta=92.16 gamma=92.16
Fractional positions:
Sm (0.0451, 0.6974, 0.9476)
Sm (0.0524, 0.9549, 0.3026)
Sm (0.1717, 0.5216, 0.3844)
Sm (0.3026, 0.0524, 0.9549)
Sm (0.3844, 0.1717, 0.5216)
Sm (0.4784, 0.6156, 0.8283)
Sm (0.5216, 0.3844, 0.1717)
Sm (0.6156, 0.8283, 0.4784)
Sm (0.6974, 0.9476, 0.0451)
Sm (0.8283, 0.4784, 0.6156)
Sm (0.9476, 0.0451, 0.6974)
Sm (0.9549, 0.3026, 0.0524)
Ag (0.1803, 0.3735, 0.7676)
Ag (0.2324, 0.8197, 0.6265)
Ag (0.3735, 0.7676, 0.1803)
Ag (0.6265, 0.2324, 0.8197)
Ag (0.7676, 0.1803, 0.3735)
Ag (0.8197, 0.6265, 0.2324)
Pt (0.5000, 0.5000, 0.5000)

(4)
Here is a geometry-optimized SmAgPt2 structure from Alexandria via LeMat-Bulk. Energies are from GGA-PBE.

Results
space-group type	P4/mmm, No. 123
DFT formation energy	-0.644	eV per atom
calculated volume	78.2	Å³/cell
magnetization	0.00	μB/f.u.
raw total energy	-5.56	eV per atom

Unit cell a=3.6249 b=3.6249 c=5.9504 alpha=90.00 beta=90.00 gamma=90.00
Fractional positions:
Sm (0.0000, 0.0000, 0.0000)
Ag (0.0000, 0.0000, 0.5000)
Pt (0.5000, 0.5000, 0.2607)
Pt (0.5000, 0.5000, 0.7393)

(5)
Here is a geometry-optimized Sm5Ag2Pt structure from Alexandria via LeMat-Bulk. Energies are from GGA-PBE.

Results
space-group type	I4/mcm, No. 140
=====

when you sum it all up, i must be nothing. maybe i cancel myself out. maybe that's why i'm a ghost.

months ago, i was barely studying at all. barely keeping myself alive. now i'm doing it harder than i ever have before. there's no one left to prove anything to but me. no other means of crawling through the impossible but my own two hands and legs.

wouldn’t it be so sad if, in my last semester here, we didn’t even speak? my lecture with the people i'm supposed to be closest with is the worst part of every week. it’s not a coincidence that there’s never room left for me to sit beside them. they don’t even look at me anymore. i sit in the back corner and they don’t know i’m there.

i made the mistake of asking one for help on an assignment. we barely speak. he still sent it. why? i didn't see it until after i'd already submitted my work. i didn't even thank him for it. why? i apologized. he never answered. mistake after mistake. my life is one big case on the mystery of my mistakes and i'll never crack it.

shouldn’t i have seen it coming? i’ve handed each one of them an excuse to leave. one dated my best friend and got his heart broken. i live with another and i made it our hell. and then, of course, there was you; the catalyst, the means to an end of those few blissful months when i didn’t have to question if i meant anything. i picked us apart, one by one, like dandelion tufts. and you all floated away. you seeded elsewhere.

i finally had a different dream a few nights ago; one with other characters, in another place. that's how i know it's finally happening. i'm finally at the top of the mountain. i look down at the wreckage behind me and the path ahead, and i know i'm going to get over this. my world is larger than you.

i am the worst version of myself when you're in my life and i still give you everything i have. every part of me wanted a second chance, and up until recently i would’ve stopped at nothing to get it. i've been so sure that if you were still my friend, you wouldn't treat me like the rest of them do. like i'm nothing.

but that's just it. i'm more your ghost than i am anyone's. you treat me just as bad. you treat me worse. you don't deserve to be written about the way i write about you. you’re not the portrait of perfection i paint you to be, just someone who got caught up in this cyclone of mistakes. you’re the eye of my storm.
